Data Assimilation Algorithms for Numerical Models
ilates the selected water level observations from eight tide gauges at the British and
Dutch coasts (see Figure 3). Observations from British gauges during the period of
surge coming from the Atlantic, contain information on the surge in the Southern
North Sea several hours ahead. If they can be assimilated into the model, external
surges can be included and errors due to imperfect meteorology during this period
[Attached: calculated crystals]
~~~
PmTa2MnO8: calculated X-ray diffraction stick pattern (Cu Kα (weighted mean of Kα1 and Kα2)), based on the GGA+U geometry in Alexandria.
Kinematic intensities with the Lorentz-polarization factor, no thermal factor.

Principal peaks in the range 2θ from 10° to 90°, most intense first:
two_theta	I_rel
24.3	100
26.5	78
33.3	69
33.4	67
36.3	43
48.6	33
17.9	31
49.0	28
51.3	25
51.4	25

a = 4.9702 Å, b = 4.9702 Å, c = 6.3967 Å
α = 90.37°, β = 90.37°, γ = 84.99°
Fractional positions:
Pm (0.0000, 0.0000, 0.0000)
Ta (0.4810, 0.4810, 0.7381)
Ta (0.5190, 0.5190, 0.2619)
Mn (0.0000, 0.0000, 0.5000)
O (0.2018, 0.7884, 0.2837)
O (0.2116, 0.7982, 0.7163)
O (0.3208, 0.3208, 0.5000)
O (0.3277, 0.3277, 0.9913)
O (0.6723, 0.6723, 0.0087)
O (0.6792, 0.6792, 0.5000)
O (0.7884, 0.2018, 0.2837)
O (0.7982, 0.2116, 0.7163)

=====

(1)
For PuAlHgAu, a crystal structure in Alexandria, relaxed with PBE gives the calculated powder XRD pattern in this record (a wavelength of 1.5418 Å).
Peak positions follow from Bragg's law for the DFT cell and can differ from measured ones.

Most intense lines, 10 to 90 degrees two-theta, low angle first:
21.9 deg, 4.066 Å, rel. 224
36.1 deg, 2.490 Å, rel. 1000
42.6 deg, 2.123 Å, rel. 126
51.9 deg, 1.761 Å, rel. 180
64.9 deg, 1.438 Å, rel. 373
87.6 deg, 1.114 Å, rel. 174

```
PuAlHgAu
1.0
0.0000 3.5213 3.5213
3.5213 0.0000 3.5213
3.5213 3.5213 0.0000
Pu Al Hg Au
1 1 1 1
Direct
0.0000 0.0000 0.0000
0.5000 0.5000 0.5000
0.2500 0.2500 0.2500
0.7500 0.7500 0.7500
```

(2)
For Pm3Ho2Er6, a crystal structure in Alexandria, relaxed with PBE gives the calculated powder XRD pattern in this record (a wavelength of 1.5418 Å).
Peak positions follow from Bragg's law for the DFT cell and can differ from measured ones.

Most intense lines, 10 to 90 degrees two-theta, low angle first:
28.8 deg, 3.097 Å, rel. 1000
30.8 deg, 2.902 Å, rel. 248
34.5 deg, 2.599 Å, rel. 813
38.1 deg, 2.361 Å, rel. 623
50.9 deg, 1.794 Å, rel. 249
66.6 deg, 1.405 Å, rel. 244

```
Pm3Ho2Er6
1.0
-2.3614 2.3614 16.5485
2.3614 -2.3614 16.5485
2.3614 2.3614 -16.5485
Pm Ho Er
3 2 6
Direct
0.0000 0.0000 0.0000
0.2031 0.2031 0.0000
0.7969 0.7969 0.0000
0.4538 0.4538 0.0000
0.5462 0.5462 0.0000
0.1207 0.6207 0.5000
0.3069 0.3069 0.0000
0.3793 0.8793 0.5000
0.6207 0.1207 0.5000
0.6931 0.6931 0.0000
0.8793 0.3793 0.5000
```

(3)
For Tl3Zn5, a crystal structure in Alexandria, relaxed with PBE gives the calculated powder XRD pattern in this record (a wavelength of 1.5418 Å).
Peak positions follow from Bragg's law for the DFT cell and can differ from measured ones.

Most intense lines, 10 to 90 degrees two-theta, low angle first:
26.5 deg, 3.360 Å, rel. 1000
33.3 deg, 2.694 Å, rel. 485
34.7 deg, 2.584 Å, rel. 692
40.2 deg, 2.242 Å, rel. 242
42.0 deg, 2.149 Å, rel. 276
43.0 deg, 2.102 Å, rel. 538

```
Tl3Zn5
1.0
9.3330 0.0000 0.0000
-4.6665 8.0826 0.0000
0.0000 0.0000 4.8421
Tl Zn
6 10
Direct
0.0000 0.3781 0.2500
0.0000 0.6219 0.7500
0.3781 0.0000 0.2500
0.3781 0.3781 0.7500
0.6219 0.0000 0.7500
~~~
can be corrected for (Gerritsen, 1995).
The implementation of the Kalman filter requires a conceptual change from the
deterministic model into a stochastic model. This is done by adding error terms
to the deterministic model. In the operational DCSM, the errors in the model are
assumed to be introduced by the uncertainty in the wind input. In the operational
system, this uncertainty is accounted for by adding error terms to the u and v depth-
average velocities (Heemink and Kloosterhuis, 1990).
The implementation of the Kalman filter on the DCSM is done by exploiting the
fact that the observations come from a fixed network and by assuming that the er-
ror statistics in the model and the observations vary only slightly in time (Gerritsen, 1995). This means that the solution for the covariance equations in Section
3.2 will become constant after several recursions. Since the propagation of the er-
ror covariance is independent from the real observation, it is possible to compute
the steady-state Kalman gain off-line. The use of the steady-state Kalman filter has
the advantage of being computationally cheap. It leads to only 10% extra computa-
tional cost (Gerritsen, 1995). For the operational system, the computation of
the steady-state Kalman gain is carried out by using a Chandrasekhar-type algorithm
(Heemink and Kloosterhuis, 1990). Another ensemble type algorithm for comput-
ing the steady-state Kalman gain implemented on DCSM is proposed by Sumihar, [2008]. Once the Kalman gain is computed, the original non-linear model is
used to propagate the mean for prediction.
To illustrate the effect of implementing steady-state Kalman filter on DCSM,
in Figure 4 we show the time series of water level on the whole day of 12 Jan-
uary 2005, obtained from observation, model results with and without assimilation
at four locations. Two of these stations (Wick and Lowestoft) are located on the
British coast, of which the data is used for assimilation. On the other hand, the other
## Calculated crystals, kept here for reference
[1]
Diffraction record for La15PrNd4. The powder XRD pattern is calculated, not measured: it uses a cell relaxed with PBE and Cu Kα X-rays.
Peak positions follow from Bragg's law for the DFT cell and can differ from measured ones.

Atomic structure:
```
data_La15PrNd4
_space_group_name_H-M_alt 'P 4/m m m'
_space_group_IT_number 123
_space_group_name_Hall '-P 4 2'
_cell_length_a 5.2461
_cell_length_b 5.2461
_cell_length_c 26.3795
_cell_angle_alpha 90.00
_cell_angle_beta 90.00
_cell_angle_gamma 90.00
loop_
_atom_site_label
_atom_site_fract_x
_atom_site_fract_y
_atom_site_fract_z
La1 0.0000 0.0000 0.0000
La2 0.0000 0.0000 0.2003
La3 0.0000 0.0000 0.4001
La4 0.0000 0.5000 0.1004
La5 0.0000 0.5000 0.3001
La6 0.0000 0.5000 0.5000
Pr1 0.5000 0.5000 0.0000
Nd1 0.5000 0.5000 0.2003
Nd2 0.5000 0.5000 0.4000
```

The 8 most intense peaks (2θ from 10° to 80°), in order of rising 2θ:
Position (°2θ)	d (Å)	intensity	h k l
29.43	3.035	100	1 1 5
33.98	2.638	17	0 0 10
34.18	2.623	34	2 0 0
48.97	1.860	24	2 0 10
49.12	1.855	12	2 2 0
58.04	1.589	15	1 1 15
58.30	1.583	29	3 1 5
61.07	1.517	13	2 2 10

[2]
Diffraction record for La7PrNd2. The powder XRD pattern is calculated, not measured: it uses a cell relaxed with PBE and Cu Kα X-rays.
Peak positions follow from Bragg's law for the DFT cell and can differ from measured ones.

Atomic structure:
```
data_La7PrNd2
_space_group_name_H-M_alt 'P -1'
_space_group_IT_number 2
_space_group_name_Hall '-P 1'
_cell_length_a 5.8911
_cell_length_b 8.8589
_cell_length_c 8.9244
_cell_angle_alpha 119.32
_cell_angle_beta 90.21
_cell_angle_gamma 109.32
loop_
_atom_site_label
_atom_site_fract_x
_atom_site_fract_y
_atom_site_fract_z
La1 0.0000 0.0000 0.0000
La2 0.1149 0.2262 0.7775
La3 0.1549 0.3108 0.4571
La4 0.3766 0.7531 0.9092
Pr1 0.5000 0.0000 0.5000
Nd1 0.2602 0.5234 0.2165
```

The 8 most intense peaks (2θ from 10° to 80°), in order of rising 2θ:
Position (°2θ)	d (Å)	intensity	h k l
19.90	4.462	16	0 1 -2
25.89	3.441	22	1 -2 2
30.34	2.946	61	2 -1 0
30.60	2.921	27	0 1 -3
30.82	2.901	100	-1 2 1
31.09	2.877	33	1 2 -1
31.59	2.832	47	1 -3 2
54.28	1.690	14	3 0 1

[3]
Diffraction record for LaPr6Nd3. The powder XRD pattern is calculated, not measured: it uses a cell relaxed with PBE and Cu Kα X-rays.
Peak positions follow from Bragg's law for the DFT cell and can differ from measured ones.

Atomic structure:
```
data_LaPr6Nd3
_space_group_name_H-M_alt 'C m c 21'
_space_group_IT_number 36
_space_group_name_Hall 'C 2c -2'
_cell_length_a 11.2280
_cell_length_b 19.6260
_cell_length_c 6.5286
_cell_angle_alpha 90.00
_cell_angle_beta 90.00
_cell_angle_gamma 90.00
loop_
_atom_site_label
_atom_site_fract_x
_atom_site_fract_y
_atom_site_fract_z
La1 0.0000 0.1874 0.0000
Pr1 0.0000 0.0349 0.2352
Pr2 0.0000 0.2835 0.4537
Pr3 0.1686 0.4602 0.5412
Pr4 0.2389 0.2921 0.7187
Nd1 0.0000 0.3819 0.0025
Nd2 0.1758 0.1176 0.6352
```

The 8 most intense peaks (2θ from 10° to 80°), in order of rising 2θ:
Position (°2θ)	d (Å)	intensity	h k l
27.46	3.249	26	3 3 0
two stations, Cadzand and Huibertgat, are located in the South-west and North of
the Netherlands respectively. The data from the latter are not used for the assimi-
lation. By visual check on Figure 4, we see that by assimilation, the model results
are pulled closer towards the observation. To acquire a better idea about the filter
performance in assimilating observed data, the root-mean-square (RMS) of water
level innovation is computed over the simulation period of 1 November 2004 - 1
February 2005. The RMS innovation of water level is computed both for assimila-
tion and validation stations. Assimilation station is the station whose data is used
for assimilation, while validation station is the one where data is used for validation
but not for assimilation. The results are presented in Figures 5-6. It is clear from
these pictures that the Kalman filter reduces the RMS innovation of water level in
both assimilation and validation stations. This indicates that the correction is prop-
agated spatially consistent as it also applies to locations where data is not used for
assimilation. This demonstrates that the filter succeeds in forcing the model closer